The Propaganda bubble of the Rwanda Dictatorship seems to be in its last days, as it has reached the levels of overflowing and has become an embarrassment. When a regime gets so reckless with lies, then you start questioning its legitimacy. The amount of funding that goes into propaganda and lobbyists is greater than what is invested in clean water- it adds no value back in the people of Rwanda, but a cover-up for Paul Kagame and his inner circle of criminals. The main values and export that have been built in Rwanda are mainly;  lies, greed, inequality, violence, arrogance, oppression, intimidation , hype and a backward  mentality of showing off.

Rwanda Propaganda

We are very sure that, you’ve seen well dressed and good looking people calling themselves Rwandans singing and making a lot of noise around various corners of the world in praise and support of Paul Kagame.

But, its not what it seems to be, but just an illusion staged and managed by Paul Kagame himself. In short, see them as hired to paint over Paul Kagame’s naked lies. Those that know and understand Banyarwanda very well and not from what they read or watch/listen, Paul Kagame is hated more than the devil by 90% of Rwandans.

When you live under a very autocratic system that is capable of bombing its citizens(see Kibeho massacre,etc), ofcourse you’ll be forced to naturally act in a certain way-the people of Rwanda know what that psycho called Kagame is capable of doing to them- they’ve witnessed his killing machine.

Wanting to be seen everywhere and into everything

The entire state of Rwanda is today written in big lies-nothing that the regime ever does is  in the interest of its people, but the survival of war criminals walking the face of this earth. What we have in Rwanda, are bad colors of blood that can be spotted a thousand miles away.

Rwanda Propaganda

The pathological lies of the regime are now in their worst taste, to the extent were the regime is now living in a fantasy of knowing it all.

# Misplaced crystal structures
____________
36
Lattice="5.143 0.000 0.000 0.000 9.511 0.000 0.000 0.000 6.750" Properties=species:S:1:pos:R:3 comment="GGA-PBE B2W2N5, optimized geometry" total_magnetization_mub_per_cell=0.01 e_tot_ev_per_atom=-9.34 pbc="T T T"
B 0.456 2.378 0.465
B 0.589 2.378 4.314
B 1.983 7.133 0.939
B 2.115 7.133 3.840
B 3.027 2.378 2.910
B 3.160 2.378 5.811
B 4.554 7.133 2.436
B 4.687 7.133 6.285
W 1.221 0.240 5.751
W 1.221 4.515 5.751
W 1.350 4.996 2.376
W 1.350 9.270 2.376
W 3.792 0.240 4.374
W 3.792 4.515 4.374
W 3.922 4.996 0.999
W 3.922 9.270 0.999
N 0.467 1.015 0.966
N 0.467 3.740 0.966
N 0.541 1.044 3.802
N 0.541 3.711 3.802
N 0.655 2.378 5.786
N 1.916 7.133 2.411
N 2.031 5.799 0.427
N 2.031 8.467 0.427
N 2.104 5.770 4.341
N 2.104 8.496 4.341
N 3.039 1.015 2.409
N 3.039 3.740 2.409
N 3.112 1.044 6.324
N 3.112 3.711 6.324
N 3.227 2.378 4.339
N 4.487 7.133 0.964
N 4.602 5.799 2.948
N 4.602 8.467 2.948
N 4.676 5.770 5.784
N 4.676 8.496 5.784

----------

Density functional theory data (PBE-GGA) for an optimized crystal structure of Nd2Sm2B2Cl5.

Calculated values
The calculation puts the final energy at -5.259 eV per atom. Its crystal system is monoclinic.

POSCAR file:
```
Nd2Sm2B2Cl5
1.0
9.9663 -1.9816 0.0000
9.9663 1.9816 0.0000
-3.0741 0.0000 7.2332
Nd Sm B Cl
2 2 2 5
Direct
0.0000 0.0000 0.2161
0.0000 0.0000 0.7839
0.3286 0.3286 0.8294
0.6714 0.6714 0.1706
0.4572 0.4572 0.9574
0.5428 0.5428 0.0426
0.1699 0.1699 0.4232
0.1700 0.1700 0.9146
0.5000 0.5000 0.5000
0.8300 0.8300 0.0854
0.8301 0.8301 0.5768
```

----------

# PBE-GGA Ce5Tl2H, relaxed
data_Ce5Tl2H
_chemical_formula_sum 'Ce10 Tl4 H2'
_cell_length_a 6.930
_cell_length_b 6.930
_cell_length_c 9.051
_cell_angle_alpha 90.00
_cell_angle_beta 90.00
_cell_angle_gamma 90.00
_space_group_name_H-M_alt 'I 4 m m'
_space_group_IT_number 107
_space_group_name_Hall 'I 4 -2'
loop_
_atom_site_label
_atom_site_type_symbol
_atom_site_fract_x
_atom_site_fract_y
_atom_site_fract_z
Ce1 Ce 0.000 0.000 0.000
Ce2 Ce 0.247 0.247 0.252
Tl1 Tl 0.000 0.500 0.002
H1 H 0.000 0.000 0.743
# Volume: 27.2 A^3/atom
# Final energy: -76.487 eV/cell
# Total magnetic moment: 5.3 μB/f.u.
# Crystal system: tetragonal
____________
# The entry goes on

What we’re seeing in Rwanda today, is the hate for reason and commonsense. The intimidation of truth tellers by the regime, is not only exclusive to the local population of Rwanda, but has become a global brand.

The culture of wanting to be seen everywhere and fluking into everything, is becoming like pop music that has lost its market. Thus,  the listens have grown-up and are now listening to real music. What I’m trying to say here is that, the world is fed-up with Paul Kagame’s freeloading using the Rwanda Genocide emotional blackmail.  The real victims of that genocide have been forgotten and the igniters and perpetrators have taken over.

Its that time to bring Paul Kagame to account for all the crimes that were committed by his Army in both Rwanda and the Democratic Republic of Congo. Without doing that-when the testimonies are still fresh, would be assisting the perpetrators of those horrendous crimes to get away…..

Rwanda Propaganda

If Paul Kagame can go all the mile to employ full-time cheerleaders that can be transported around the world anytime, to worship and defend him like a cult leader, then something somewhere in him is not right.

Today serious investors have just realised that all along, Rwanda was a very poor country, that is a professional global beggar and not an income generating country that benefits its people, but a very few greedy people-everything has been siphoned off by Paul Kagame and his inner circle. Thus, the people have been dis-empowered to create their wealth,and have instead been turned into victims of state extortion.

When you look around Rwanda and compare (not Kigali center) with what hired foreign experts on Rwanda development, praise and report- there’s a big  mismatch. The levels of despair are very appalling. Surely, is this what the dictator calls:  ” the pace of progress in Rwanda in the last twenty years gives great hope for the next twenty years“??

Then why would a regime that boasts around the world to have empowered women, demolish a poor woman’s house that she build herself with her own hands. Reason, because she was late paying a bribe(extortion) fee on time. By the way,  this is the other Kigali they never show you.

Rwanda Propaganda

Rwanda Propaganda

the Rwanda Dictatorship

Rwanda Propaganda

(Next to the piece, the page also holds records of crystals)
********
18
Lattice="7.1893 -3.8049 0.0000 7.1893 3.8049 0.0000 0.0000 0.0000 7.6519" Properties=species:S:1:pos:R:3 comment="Ca2Pr2S5 (PBE-GGA, optimized geometry)" e_form_raw_ev_per_fu=-18.19 final_energy_ev_per_atom=-5.821 pbc="T T T"
Ca 7.1893 2.5893 6.4271
Ca 7.1893 1.2156 2.6011
Ca 7.1893 -1.2156 5.0507
Ca 7.1893 -2.5893 1.2248
Pr 2.8112 0.0000 3.8259
Pr 4.3782 0.0000 0.0000
Pr 10.0005 0.0000 0.0000
Pr 11.5675 0.0000 3.8259
S 0.0000 0.0000 3.8259
S 5.1674 2.5885 1.1765
S 5.1674 1.2164 5.0024
S 9.2113 2.5885 1.1765
S 9.2113 1.2164 5.0024
S 7.1893 0.0000 0.0000
S 5.1674 -1.2164 2.6494
S 5.1674 -2.5885 6.4754
S 9.2113 -1.2164 2.6494
S 9.2113 -2.5885 6.4754

---

14
Lattice="-4.3148 4.3148 4.3320 4.3148 -4.3148 4.3320 4.3148 4.3148 -4.3320" Properties=species:S:1:pos:R:3 comment="CaPr5S8 (PBE-GGA, optimized geometry)" e_form_raw_ev_per_fu=-28.64 final_energy_ev_per_atom=-6.254 pbc="T T T"
Ca 0.0000 0.0000 0.0000
Pr 5.4089 2.1603 -1.1173
Pr 4.3148 0.0000 2.1660
Pr 2.1603 3.2207 1.1173
Pr -1.0941 2.1545 3.2147
Pr 2.1545 1.0941 5.4493
S 2.7737 0.6175 -0.4127
S 2.7900 3.6585 -1.6809
S 3.6973 -1.5411 4.7447
S 1.5248 0.6563 2.6511
S 4.9711 2.7900 1.6809
S 0.6175 5.8559 0.4127
S -0.6563 1.5248 6.0129
S 1.5411 3.6973 3.9193

---

5
Lattice="5.6011 0.0000 0.0000 0.0000 5.6011 0.0000 0.0000 0.0000 5.6011" Properties=species:S:1:pos:R:3 comment="CaPr3S (PBE-GGA, optimized geometry)" e_form_raw_ev_per_fu=-3.51 final_energy_ev_per_atom=-4.795 pbc="T T T"
Ca 0.0000 0.0000 0.0000
Pr 0.0000 2.8006 2.8006
Pr 2.8006 0.0000 2.8006
Pr 2.8006 2.8006 0.0000
S 2.8006 2.8006 2.8006

---

16
Lattice="8.2274 0.0000 0.0000 0.0000 11.5574 0.0000 0.0000 0.0000 4.0645" Properties=species:S:1:pos:R:3 comment="CaPr3S4 (PBE-GGA, optimized geometry)" relative_energy_mev_per_atom=0.0 e_form_raw_ev_per_fu=-16.27 final_energy_ev_per_atom=-6.140 pbc="T T T"
Ca 0.0000 0.0000 0.0000
Ca 4.1137 5.7787 0.0000
Pr 0.0000 5.7787 0.0000
Pr 2.0569 2.8893 2.0322
Pr 2.0569 8.6680 2.0322
Pr 4.1137 0.0000 0.0000
Pr 6.1706 2.8893 2.0322
Pr 6.1706 8.6680 2.0322
S 0.0000 2.8354 0.0000
S 0.0000 8.7220 0.0000
S 1.9986 0.0000 2.0322
S 2.1151 5.7787 2.0322
S 4.1137 2.9433 0.0000
S 4.1137 8.6141 0.0000
S 6.1123 5.7787 2.0322
S 6.2288 0.0000 2.0322
********

Rwanda Propaganda

Rwanda Propaganda

Rwanda Propaganda

This is just one case out of hundreds, that take place every week in Rwanda. We don’t blame those people that are still buying into the Paul Kagame lies, as the propaganda machine behind him, is powerful but not sophisticated to be busted.

Joram Jojo


Free Rwanda Communications
